Category: Static Analysis
Everything static analysis with NDepend. We write on the why, the how, and how proper static analysis processes can save tons of time, money, and reduce stress.
Cyclomatic Complexity in C#: Everything You Need to Know
October 21, 2024 3 minutes read Cyclomatic complexity is a code metric used to measure the complexity of a program’s control flow. In C#, it represents the number of independent...
Why Should Managers Care About Static Analysis?
March 22, 2024 5 minutes read I’d like to talk a bit today about how, if you’re a dev manager for a team or teams that are responsible for .NET...
SOLID Design in C#: The Interface Segregation Principle (ISP) with Examples
November 13, 2023 6 minutes read The Interface Segregation Principle (ISP) is one of the five essential SOLID design principles. These principles are guidelines for the proper usage of object-oriented features. The...
Hungarian Notation for Fields in C#
April 21, 2021 6 minutes read If there is one topic that divides the C# developers community, it is the Hungarian notation for fields. In our team we rely on...
Is Artificial Intelligence Assisted Coding the Next Developer Productivity Silver Bullet?
January 26, 2021 9 minutes read The famous Fred Brooks paper “No Silver Bullet – Essence and Accident in Software Engineering“ published in 1987 stated that: “there is no single development,...
When your brain can’t handle the complexity: NDepend and PostSharp
November 2, 2020 5 minutes read The size and complexity of codebases have exploded in the last decade. What can you do when your codebase no longer fits your brain?...
Strategies to Catch Regression Bugs before Production: A Case Study
October 19, 2020 6 minutes read That’s quite a coincidence that a few days after promoting the joy of immutability in the post C#9 records: immutable classes we stumbled on...
.NET 5.0 App Trimming and Potential for Future Progress
September 28, 2020 7 minutes read In this article we will: go through the various ways to publish a .NET 5.0 application, play with .NET 5.0 app trimming to reduce...
Top 10 .NET 5.0 new APIs
September 21, 2020 9 minutes read When a new major .NET version hits Release Candidate, it is time to use the NDepend code review changes capabilities to browse which new...
Business Complexity vs. Implementation Complexity
September 19, 2019 6 minutes read It is good software design practice to make sure that methods can be entirely viewed in the code editor that typically shows 30 to...
Static Analysis and Dependency Injection
September 3, 2019 4 minutes read For quite some years now, we (the NDepend team) got some demand about resolving Dependency Injection, see this page on our User Voices. Lately...
Data records that have nothing to do with the entry
+++
1.
Pr3Zn4Cd4, relaxed, DFT PBE; energy relative to the elements = -0.286 eV per atom; crystal system = monoclinic; calculated volume = 23.73 Å³ per atom; total energy = -2.386 eV/atom; density of states at the Fermi level = 0.883 states/eV/atom
1.0
3.8231 0.0006 0.0026
0.0006 4.7073 0.0031
1.9025 2.3405 14.5068
Pr Zn Cd
3 4 4
Direct
0.8560 0.3564 0.2874 Pr
0.1440 0.6436 0.7126 Pr
0.0000 0.0000 0.0000 Pr
0.3142 0.8141 0.3725 Zn
0.4538 0.4548 0.0904 Zn
0.6858 0.1859 0.6275 Zn
0.5462 0.5452 0.9096 Zn
0.2575 0.2580 0.4842 Cd
0.4067 0.9067 0.1863 Cd
0.7425 0.7420 0.5158 Cd
0.5934 0.0933 0.8137 Cd


2.
PrZn3Cd3, relaxed, DFT PBE; energy relative to the elements = -0.227 eV per atom; crystal system = monoclinic; calculated volume = 20.92 Å³ per atom; total energy = -1.848 eV/atom; density of states at the Fermi level = 0.351 states/eV/atom
1.0
-2.2163 3.8318 -1.2217
-4.9409 -3.8464 -3.1006
-1.9253 1.9353 9.5628
Zn Cd Pr
6 6 2
Direct
0.7500 0.3229 0.0903 Zn
0.2500 0.6771 0.9097 Zn
0.7500 0.8057 0.5425 Zn
0.7500 0.9935 0.3699 Zn
0.2500 0.0065 0.6301 Zn
0.2500 0.1943 0.4575 Zn
0.2500 0.6133 0.6173 Cd
0.2500 0.2589 0.9275 Cd
0.7500 0.3867 0.3827 Cd
0.7500 0.7411 0.0725 Cd
0.2500 0.0815 0.1586 Cd
0.7500 0.9185 0.8414 Cd
0.7500 0.3458 0.7197 Pr
0.2500 0.6542 0.2803 Pr


3.
Pr3Zn3Cd, relaxed, DFT PBE; energy relative to the elements = -0.260 eV per atom; crystal system = monoclinic; calculated volume = 25.64 Å³ per atom; total energy = -2.985 eV/atom; density of states at the Fermi level = 1.053 states/eV/atom
1.0
-2.5701 -3.9378 -0.5538
2.8857 -4.3509 -2.6962
2.5911 -6.3086 12.5919
Pr Cd Zn
6 2 6
Direct
0.3869 0.2981 0.9282 Pr
0.2575 0.2600 0.2249 Pr
0.4729 0.6788 0.3753 Pr
0.5271 0.3212 0.6247 Pr
0.6131 0.7019 0.0718 Pr
0.7425 0.7400 0.7751 Pr
0.2412 0.9176 0.5999 Cd
0.7588 0.0824 0.4001 Cd
0.1262 0.2915 0.4562 Zn
0.8738 0.7085 0.5438 Zn
0.0303 0.1621 0.7773 Zn
0.0992 0.8812 0.9204 Zn
0.9697 0.8379 0.2227 Zn
0.9008 0.1188 0.0796 Zn


4.
Pr4Zn2Cd, relaxed, DFT PBE; energy relative to the elements = -0.067 eV per atom; crystal system = trigonal; calculated volume = 30.63 Å³ per atom; total energy = -3.292 eV/atom; density of states at the Fermi level = 1.397 states/eV/atom
1.0
-1.5807 -0.7003 -4.9417
3.5030 -1.0600 -3.7436
-0.3549 -9.4267 -1.3238
Pr Zn Cd
4 2 1
Direct
0.7923 0.7923 0.6231 Pr
0.2077 0.2077 0.3769 Pr
0.3800 0.3800 0.8600 Pr
0.6200 0.6200 0.1400 Pr
0.9032 0.9032 0.2905 Zn
0.0968 0.0968 0.7095 Zn
0.0000 0.0000 0.0000 Cd


5.
Pr12Zn6Cd, relaxed, DFT PBE; energy relative to the elements = -0.095 eV per atom; crystal system = trigonal; calculated volume = 28.65 Å³ per atom; total energy = -3.564 eV/atom; density of states at the Fermi level = 1.100 states/eV/atom
1.0
8.9166 -1.0844 -1.2991
-2.4236 8.6492 -1.2991
-2.4236 -2.8237 8.2778
Pr Zn Cd
12 6 1
Direct
0.2788 0.9313 0.8342 Pr
0.1658 0.7212 0.0687 Pr
0.3584 0.4841 0.1835 Pr
0.7212 0.0687 0.1658 Pr
0.6416 0.5159 0.8165 Pr
0.5159 0.8165 0.6416 Pr
0.9313 0.8342 0.2788 Pr
0.8342 0.2788 0.9313 Pr
+++
Are SOLID principles Cargo Cult?
August 13, 2019 6 minutes read My last post about SOLID Design: The Single Responsibility Principle (SRP) generated some discussion on reddit. The discussion originated from a remark considering SOLID...
Exploring .NET Core 3.0 new API
February 21, 2019 9 minutes read .NET Core 3.0 is representing a major step for the .NET community. It is interesting to analyze what’s new in the API directly from...
Advanced Code Search : A Case Study
January 16, 2019 3 minutes read This morning I stumbled on a complex test to write. The need was to create and show a custom Form (written with Windows Form)...
Log4net vs NLog: A Comparison of How They Affect Codebases
June 12, 2018 1 minutes read Ah, the old “versus” Google search. Invariably, you’re in the research stage of some decision when you type this word into a search engine. ...
The Singleton Design Pattern: Impact Quantified
**Materials data, kept here for reference**
........
# CoTc2Au PBE relaxed
data_CoTc2Au
_chemical_formula_sum 'Co1 Tc2 Au1'
_space_group_name_H-M_alt 'P m m 2'
_space_group_IT_number 25
_space_group_name_Hall 'P 2 -2'
_cell_length_a 2.7517
_cell_length_b 3.8182
_cell_length_c 5.5571
_cell_angle_alpha 90.00
_cell_angle_beta 90.00
_cell_angle_gamma 90.00
loop_
_atom_site_label
_atom_site_type_symbol
_atom_site_fract_x
_atom_site_fract_y
_atom_site_fract_z
_atom_site_occupancy
Co1 Co 0.0000 0.0000 0.0000 1
Tc1 Tc 0.0000 0.0000 0.4477 1
Tc2 Tc 0.5000 0.5000 0.2283 1
Au1 Au 0.5000 0.5000 0.7396 1
# ΔH_f (0 K): 0.91 eV/f.u.
# E above lowest polymorph: 22.3 meV per atom
# E: -7.55 eV per atom

=====

1.
Entry from the Alexandria database: a geometry-optimized GaAs2O structure (PBE).

a = 4.410 Å, b = 4.410 Å, c = 4.410 Å
α = 60.00°, β = 60.00°, γ = 60.00°
Positions (direct):
As 0.250 0.250 0.250
As 0.750 0.750 0.750
O 0.000 0.000 0.000
Ga 0.500 0.500 0.500

Its uncorrected formation energy is 0.298 eV per atom. The space group is No. 225. For the energy above the most stable polymorph in this dataset, the calculation gives 0.352 eV/atom. The calculation puts the total magnetic moment at 0.000 μB per atom. The raw total energy comes out at -4.02 eV per atom.


2.
Entry from the Alexandria database: a geometry-optimized GaAs2O structure (PBE).

a = 4.925 Å, b = 4.925 Å, c = 7.268 Å
α = 70.19°, β = 70.19°, γ = 90.00°
Positions (direct):
As 0.536 0.125 0.250
As 0.214 0.625 0.250
As 0.375 0.464 0.750
As 0.875 0.786 0.750
O 0.500 0.500 0.000
O 0.250 0.750 0.500
Ga 0.000 0.000 0.000
Ga 0.750 0.250 0.500

Its uncorrected formation energy is -0.054 eV per atom. The space group is No. 122. For the energy above the most stable polymorph in this dataset, the calculation gives 0.000 eV/atom. The calculation puts the total magnetic moment at 0.000 μB per atom. The raw total energy comes out at -4.37 eV per atom.


3.
Entry from the Alexandria database: a geometry-optimized GaAsO structure (PBE).

a = 5.367 Å, b = 6.403 Å, c = 5.582 Å
α = 73.27°, β = 64.28°, γ = 41.48°
Positions (direct):
Ga 0.949 0.427 0.391
Ga 0.317 0.565 0.068
O 0.091 0.717 0.800
O 0.786 0.489 0.774
As 0.301 0.887 0.284
As 0.648 0.864 0.801

Its uncorrected formation energy is -0.704 eV per atom. The space group is No. 1. The calculation puts the total magnetic moment at 0.000 μB per atom. The raw total energy comes out at -4.92 eV per atom.


4.
Entry from the Alexandria database: a geometry-optimized Ga3AsO structure (PBE).

a = 4.456 Å, b = 4.456 Å, c = 4.456 Å
α = 90.00°, β = 90.00°, γ = 90.00°
Positions (direct):
As 0.500 0.500 0.500
O 0.000 0.000 0.000
Ga 0.000 0.500 0.000
Ga 0.000 0.000 0.500
Ga 0.500 0.000 0.000

Its uncorrected formation energy is -0.153 eV per atom. The space group is No. 221. For the energy above the most stable polymorph in this dataset, the calculation gives 0.000 eV/atom. The calculation puts the total magnetic moment at 0.000 μB per atom. The raw total energy comes out at -3.89 eV per atom.
........
October 26, 2017 3 minutes read This post has been about a month in the offing. Back in August, I wrote about what the singleton pattern costs you. This prompted...
Static analysis of .NET Core 2.0 applications
October 12, 2017 3 minutes read NDepend v2017.3 has just been released with major improvements. One of the most requested features, now available, is the support for analyzing .NET Core 2.0...
Understanding the Difference Between Static And Dynamic Code Analysis
August 31, 2017 3 minutes read I’m going to cover some relative basics today. At least, they’re basics when it comes to differentiating between static and dynamic code analysis. If...
The Role of Static Analysis in Testing
August 10, 2017 2 minutes read “What do you do?” In the United States, people ask this almost immediately upon meeting one another for the first time. These days, I...
How Has Static Code Analysis Changed Through the Years?
August 3, 2017 2 minutes read Years ago, I found myself staring at about 10 lines of source code. This code had me stymied, and I could feel the onset...
Is Your Team Wrong About Your Codebase? Prove It. Visually.
July 20, 2017 2 minutes read I don’t think I’ll shock anyone by pointing out that you can find plenty of disagreements among software developers. Are singletons evil? What’s the...
Code Quality Metrics: Separating the Signal from the Noise
July 13, 2017 2 minutes read Say you’re working in some software development shop and you find yourself concerned with code quality metrics. Reverse engineering your team’s path to this...
What is Static Analysis? An Explanation for Everyone
June 29, 2017 2 minutes read Static analysis, as a concept, seems to earn itself a certain reputation. The general population may regard programming as a technocratic, geeky pursuit. But...
How to Evaluate Your Static Analysis Process
April 27, 2017 1 minutes read I often get inquiries from clients and prospects about setting up and operationalizing static analysis. This makes sense. After all, we live in a...
How to Analyze a Static Analyzer
Calculated crystals, as found in the file
/*
(1)
Here is a relaxed structure of CaZrRh2 from the Alexandria database. Energies are from PBE.

## Properties
DOS at the Fermi energy in states/eV/cell: 1.37
E in eV/atom: -7.0004
Spin magnetization in μB per atom: 0.00

```
CaZrRh2
1.0
3.2881 0.0000 0.0000
0.0000 3.3268 0.0082
0.0000 3.3188 7.0415
Ca Rh Zr
1 2 1
direct
0.5000 0.7500 0.7500
0.0000 0.9663 0.0335
0.0000 0.5337 0.4665
0.5000 0.2500 0.2500
```

---

(2)
Here is a relaxed structure of BeFe2Br from the Alexandria database. Energies are from PBE.

## Properties
DOS at the Fermi energy in states/eV/cell: 1.09
Spin magnetization in μB per atom: 1.25
Uncorrected formation energy in eV/atom: 0.33

```
BeFe2Br
1.0
6.0249 0.0059 0.0036
5.0152 3.3386 0.0036
5.0152 1.5193 2.9729
Be Fe Br
1 2 1
direct
0.2500 0.2500 0.2500
0.9652 0.9652 0.9652
0.5348 0.5348 0.5348
0.7500 0.7500 0.7500
```

=====

Entry 1:
Mg2CuAs | GGA-PBE | relaxed

Cell lengths 5.9795, 5.9795, 4.5907 Å; angles 72.41, 72.41, 28.11 degrees
Closest atoms and distances in Å follow each position.
Fractional positions:
As (0.5479, 0.5479, 0.4888)  2 Cu 2.62, 5 Mg 2.89-2.93, 2 As 2.90
Cu (0.2402, 0.2402, 0.2257)  2 As 2.62, 6 Mg 2.69-2.79, 2 Cu 2.90
Mg (0.9562, 0.9562, 0.0639)  2 Cu 2.79, 4 As 2.89-2.91, 2 Mg 2.90
Mg (0.7558, 0.7558, 0.7216)  4 Cu 2.69-2.75, 2 Mg 2.90, 1 As 2.93

- space-group type = Cm, No. 8
- uncorrected energy (eV per cell) = -12.442


Entry 2:
Sm8SbTe4P3 | GGA-PBE | relaxed

Cell lengths 8.5537, 8.7660, 8.5542 Å; angles 119.21, 120.00, 90.00 degrees
Closest atoms and distances in Å follow each position.
Fractional positions:
Sm (0.2476, 0.7193, 0.9717)  2 P 2.89, 1 Sb 3.03, 1 Te 3.11
Sm (0.2476, 0.7192, 0.4953)  2 P 2.89, 1 Sb 3.03, 1 Te 3.11
Sm (0.2628, 0.2884, 0.5257)  3 P 2.91, 3 Te 3.23
Sm (0.7240, 0.7193, 0.9717)  2 P 2.89, 1 Sb 3.03, 1 Te 3.11
Sm (0.2760, 0.2807, 0.0283)  2 P 2.89, 1 Sb 3.03, 1 Te 3.11
Sm (0.7372, 0.7116, 0.4743)  3 P 2.91, 3 Te 3.23
Sm (0.7524, 0.2808, 0.5047)  2 P 2.89, 1 Sb 3.03, 1 Te 3.11
Sm (0.7524, 0.2807, 0.0283)  2 P 2.89, 1 Sb 3.03, 1 Te 3.11
Sb (0.0000, 0.5000, 0.0000)  6 Sm 3.03
Te (0.5000, 0.0000, 0.0000)  6 Sm 3.11
Te (0.5000, 0.0000, 0.5000)  6 Sm 3.23-3.25
Te (0.0000, 0.0000, 0.0000)  6 Sm 3.23-3.25
Te (0.0000, 0.0000, 0.5000)  6 Sm 3.23-3.25
P (0.5000, 0.5000, 0.0000)  6 Sm 2.89-2.91
P (0.5000, 0.5000, 0.5000)  6 Sm 2.89-2.91
P (0.0000, 0.5000, 0.5000)  6 Sm 2.89-2.91

- space-group type = R-3m, No. 166
- uncorrected formation energy (meV per atom) = -1495


Entry 3:
TbHo5Sc2 | GGA-PBE | relaxed

Cell lengths 7.0676, 7.0674, 6.5381 Å; angles 105.73, 105.74, 119.89 degrees
Closest atoms and distances in Å follow each position.
Fractional positions:
Tb (0.8213, 0.7345, 0.0000)  2 Sc 3.41, 10 Ho 3.43-3.57
Ho (0.2373, 0.3187, 0.5001)  6 Ho 3.43-3.54, 2 Tb 3.43, 4 Sc 3.52-3.55
Ho (0.3177, 0.7378, 0.9999)  4 Sc 3.42, 6 Ho 3.44-3.57, 2 Tb 3.50-3.57
Ho (0.8179, 0.2379, 0.0000)  4 Sc 3.42, 6 Ho 3.44-3.57, 2 Tb 3.50-3.57
*/
March 30, 2017 1 minutes read First things first. I really wanted to call this post, “who will analyze the analyzer,” because I fancy myself clever. This title would have...
Static Analysis Issue Management Gets a Boost
March 23, 2017 2 minutes read Years ago, I led a team of software developers. We owned an eclectic portfolio of software real estate. It included some Winforms, Webforms, MVC, and...
Quality Gates with NDepend to Help You Fail Fast
March 9, 2017 1 minutes read I had this car once. I loved the thing, but, before the end of its life, my wife and I had developed sort of...
Adding Static Analysis to Your Team’s DNA
January 12, 2017 1 minutes read Stop me if this sounds familiar. (Well, not literally. I realize that asynchronous publication makes it hard for you to actually stop me as...
New Year’s Resolutions for Code Quality
December 29, 2016 2 minutes read Perhaps more than any other holiday I can think of, New Year’s Day has specific traditions. With other holidays, they range all over the map....
Concreteness: Entering the Zone of Pain
November 10, 2016 1 minutes read Years ago, when I first downloaded a trial of NDepend, I chuckled when I saw the “Abstractness vs. Instability” graph. The concept itself does...